Faculty and Staff Vaccination Updates
Last week, we shared a brief update with faculty and staff about changes to the State of Illinois vaccination eligibility guidelines. Most faculty and staff at the University are now eligible to receive the COVID-19 vaccine, or will become eligible March 29. This is an exciting development and reinforces our optimism about the months ahead.
At this stage, the state’s rollout continues to follow a mass-vaccination strategy, with employers like Northwestern playing a limited role in initial vaccination efforts. Based on feedback from public health officials, we expect vaccine supply to continue to increase through April and May.
While everybody soon will be eligible, it will take time for supply to meet the demand. There will eventually be enough vaccine for anyone who wants to be vaccinated. We ask that you be patient as the vaccine rollout continues. All community members—those vaccinated and not—should continue to practice the public health strategies that have helped us maintain a healthy campus environment.
This message provides additional details related to vaccines, including current efforts at Northwestern and expectations for the coming weeks. We will provide more updates as they are available.
NU Vaccination Site Activity
Unrelated to this page: molecular data:
-- begin --
A cluster of 8 separate species, C8H26ClINO10PS3 in total in a non-equilibrium geometry. Source: the OMol25 dataset; level of theory: ωB97M-V/def2-TZVPD.

Calculated values
Net charge: 0
Frontier orbital gap, Eh: 0.2908
SMILES: CC[C@@H](Cl)[C@@H]1[C@H]([PH2]=S)[C@@H](N=C=S)S(=O)(=O)O[C@@H]1I.O.O.O.O.O.O.O
Multiplicity: 1
LUMO level, eV: -0.9
Electronic energy, eV: -93096.8774
Max |F|, eV/A: 5.921
HOMO energy, eV: -8.84

Cartesian coordinates (Å):
C 3.04 -0.25 0.65
C 1.86 -0.02 -0.39
C 0.50 -0.83 -0.04
Cl 0.59 -1.30 1.73
C -0.77 0.09 -0.37
C -2.16 -0.59 0.11
P -2.50 -2.20 -0.86
S -3.45 -1.91 -2.53
C -3.40 0.42 0.05
N -3.92 0.84 1.36
C -3.04 1.40 2.09
S -2.02 2.48 2.79
S -2.98 1.79 -1.11
O -2.16 2.88 -0.51
O -4.22 2.38 -1.67
O -2.07 1.10 -2.33
C -0.78 0.65 -1.86
I 0.00 -0.72 -3.36
H 3.96 0.19 0.18
H 2.86 0.36 1.58
H 3.27 -1.33 0.85
H 2.22 -0.49 -1.36
H 1.67 1.07 -0.62
H 0.50 -1.80 -0.62
H -0.65 1.00 0.31
H -2.03 -0.93 1.18
H -1.27 -2.92 -1.08
H -3.25 -3.04 0.04
H -4.24 -0.17 -0.46
H -0.10 1.55 -1.87
O 4.13 2.21 0.48
H 4.31 2.93 1.09
H 3.62 2.62 -0.23
O -0.39 -4.27 -3.80
H -0.39 -4.30 -4.76
H -0.40 -3.32 -3.59
O 4.05 3.85 3.40
H 3.90 3.17 4.06
H 3.27 4.41 3.46
O -6.85 3.55 -2.43
H -6.52 3.65 -3.33
H -6.20 2.98 -2.00
O 5.51 -1.22 -0.45
H 6.17 -0.79 0.12
H 6.02 -1.50 -1.22
O -2.95 -2.24 2.47
H -3.12 -2.93 3.12
H -3.73 -1.67 2.53
O 4.94 -2.14 3.34
H 5.14 -2.23 2.40
H 4.04 -2.46 3.42

----------

# 1
Entry from the OMol25 dataset: C5H9NO as an isolated structure (ωB97M-V/def2-TZVPD).

The calculation puts the gap between HOMO and LUMO at 8.6 eV. Its LUMO energy is 0.87 eV.

XYZ file:
```
16
Properties=species:S:1:pos:R:3:forces:R:3
O -2.639 -0.792 0.468 -0.0617 0.1509 0.1695
C -1.631 -0.496 -0.358 0.1866 0.1231 0.0536
C -0.889 0.802 -0.088 0.0131 0.1122 -0.0815
C 0.523 0.254 -0.034 -0.2123 -0.1055 -0.0927
C 1.580 0.573 -1.014 0.0338 -0.0406 -0.3336
N 1.646 1.091 0.356 0.1333 -0.0396 0.2422
C 0.248 -1.144 0.433 0.1677 -0.0183 0.1554
H -2.651 -0.183 1.230 -0.0433 -0.1273 -0.1133
H -0.826 -1.391 -0.500 0.0333 -0.0879 -0.0494
H -1.148 1.216 0.905 0.0365 -0.0811 -0.1100
H -1.085 1.577 -0.838 0.0314 -0.1180 0.1477
H 1.401 1.326 -1.779 0.0200 -0.1148 0.1275
H 2.262 -0.224 -1.307 -0.1234 0.1309 0.0677
H 2.309 0.553 0.909 -0.0895 0.0640 -0.0688
H 0.932 -1.944 0.129 -0.1021 0.1584 0.0467
H -0.032 -1.217 1.488 -0.0235 -0.0064 -0.1608
```
Forces are in eV/Å.

# 2
Entry from the OMol25 dataset: one molecule with the formula C5H9NO2 (ωB97M-V/def2-TZVPD).

The calculation puts the gap between HOMO and LUMO at 9.1 eV. Its LUMO energy is 0.74 eV. As for the SMILES: N[C@H]1[C@H]2OCC[C@@]21O.

XYZ file:
```
17
Properties=species:S:1:pos:R:3:forces:R:3
N -2.619 -0.299 -0.419 0.3722 0.3733 0.8418
C -1.440 -0.458 0.401 -0.8436 -0.3571 -1.2268
C -0.113 -1.055 0.048 -0.1393 -0.0122 -1.2224
O 0.797 -1.151 -0.994 0.1603 -0.0277 -0.3772
C 1.875 -0.337 -0.476 0.0952 -0.3992 1.6348
C 1.272 0.576 0.680 0.2426 0.8354 1.2109
C -0.201 0.449 0.305 0.6355 0.1069 1.3817
-- stop --
End of the molecular data:
As previously shared, Northwestern has developed a vaccine clinic on the Evanston campus, currently situated in Norris, to administer the vaccine to members of the Northwestern community. While vaccine supply remains low, we are grateful our partners from the City of Evanston Health and Human Services are continuing to allocate a share of their supply to Northwestern. We have administered every dose of vaccine the city has given us on the day we received it.
To date, we have invited all faculty and staff age 65 and older to a vaccine clinic, while also vaccinating remaining faculty and staff who qualify under phase 1a or were identified as frontline essential workers under the state’s plan. This past week, we also began vaccinating a number of Compass food service employees who qualify in 1b. In the days ahead, we will be inviting more community members below age 65.
We are actively advocating for more supply to be allocated to us and look forward to increasing our vaccination efforts as soon as possible. As that happens, we plan to prioritize invitees by age, starting with the oldest, in alignment with public health recommendations. We also will adopt local strategies to ensure vaccine equity, such as inviting those who live in the most at-risk ZIP codes as defined by Chicago Department of Public Health.
Other Ways to Get Vaccinated
Most community members likely will be vaccinated at locations not associated with Northwestern, especially in the next two months. We encourage you to get vaccinated wherever you can, using the resources outlined below:
- The State of Illinois website and the Northwestern website provide information about a number of vaccination locations.
- Northwestern and the City of Evanston entered into a partnership to utilize a campus location as a community mass vaccination space. Complete Evanston’s Vaccination Contact Form so that they invite you to an event as soon as it is available.
- Cook County mass vaccination sites are available for most Northwestern community members. Sign up here to register for vaccine appointments at these sites.
- The City of Chicago has partnered with Zocdoc to facilitate access to the vaccine. You can visit the Zocdoc website to determine whether you qualify for the vaccine and identify locations with open vaccine appointments.
- Most healthcare providers are offering vaccine appointments to their patients. Ask your provider if they have any open appointments.
- If you are still having trouble, the state has launched a multilingual, toll-free Vaccine Appointment Call Center at 833-621-1284.
Workplace Flexibility for Vaccination
Our priority continues to be keeping our community safe as we begin a gradual return to campus. With that in mind, managers and supervisors are expected to extend flexibility and to allow time off for staff to receive the first and second vaccinations. Staff members who wish to get the vaccine and face difficulty doing so outside of work hours should use sick, vacation or personal floating holiday time.
Additionally, staff may use sick, vacation or personal floating holiday time to recover from side effects following their vaccinations. Staff members should request this time off in advance, if possible, so that managers can plan for the absence. However, managers and supervisors should allow staff to attend their vaccination at the time slot they have been allocated.
Vaccine Disclosure
Federal, state and local public health guidance, including for those who are vaccinated, will continue to develop. To best enact informed public health strategies for the Spring, Summer and Fall Terms, it will be helpful to understand how much of our community has been vaccinated.
Any faculty or staff member who becomes fully vaccinated through a location other than Northwestern University is encouraged to disclose to the University (1) the type of vaccine received (e.g. Pfizer, Moderna, or Johnson & Johnson) and (2) the date(s) of vaccination. Faculty and staff can complete their disclosures here.
These disclosures are entirely voluntary. This information will be securely maintained and accessible only to those who need access to it due to their role and responsibilities at Northwestern. At this time, we expect to use this information to support our continued management of the pandemic. Examples of how this information may be used include:
- At an aggregate level to understand the percentage of the community that has been vaccinated.
- To determine how vaccine rates might impact the ability to hold in-person classes, events or other campus activities.
- To inform the need for ongoing testing and quarantine/isolation housing.
- To inform potential adjustments to requirements for using Symptom Tracker.
- To supplement the case management and contact tracing process, and to ensure appropriate handling of vaccinated vs. unvaccinated community members.
For a number of reasons, at this time, Northwestern is not requiring students, faculty or staff to be vaccinated in order to access campus. However, as noted above, we strongly encourage everyone to get vaccinated as soon as they are able.
In the future, we may require vaccination to participate in certain activities or access certain spaces at the University. We understand that there are medical, religious and other reasons that may prevent a person from being vaccinated. Those concerns will be taken into account when deciding whether to require vaccination and would be addressed through an appropriate accommodations process.
For now, we are asking you to voluntarily share your vaccination information. This will help us better understand who has received the vaccine, appropriately strategize for the protection of our broader community, and develop a process to return to a more typical campus environment over the summer and fall.
If you have questions, you can contact vaccine@northwestern.edu. Response times may be delayed based on the volume of inquiries.
Thank you again for everything you are doing to keep yourself and our community safe.
Luke Figora
Senior Associate VP
Chief Risk and Compliance Officer